_Contents_
/*
V32N3: relaxed, r2SCAN.

Unit cell a=2.966 b=8.631 c=17.273 alpha=90.80 beta=90.00 gamma=90.00
Element x y z (fractional)
V  0.500  0.387  0.064
V  0.500  0.871  0.806
V  0.000  0.391  0.196
V  0.000  0.378  0.690
V  0.500  0.880  0.314
N  0.500  0.493  0.748
N  0.000  0.000  0.000
V  0.500  0.111  0.943
V  0.000  0.116  0.317
V  0.500  0.889  0.057
V  0.000  0.110  0.812
V  0.500  0.351  0.330
V  0.000  0.884  0.683
V  0.500  0.129  0.194
V  0.500  0.373  0.561
V  0.000  0.372  0.942
V  0.000  0.890  0.188
V  0.500  0.337  0.826
V  0.000  0.872  0.435
V  0.000  0.622  0.310
V  0.000  0.160  0.079
V  0.500  0.649  0.670
V  0.000  0.371  0.445
V  0.500  0.116  0.442
V  0.500  0.613  0.936
V  0.000  0.629  0.555
V  0.500  0.663  0.174
V  0.500  0.627  0.439
V  0.000  0.609  0.804
N  0.500  0.507  0.252
V  0.500  0.120  0.686
V  0.000  0.840  0.921
V  0.000  0.628  0.058
V  0.500  0.884  0.558
V  0.000  0.128  0.565

Properties
crystal system: monoclinic
space group: P2/m

---

HoPbAu: relaxed, r2SCAN.

Unit cell a=4.783 b=4.783 c=4.783 alpha=60.00 beta=60.00 gamma=60.00
Element x y z (fractional)
Au  0.250  0.250  0.250
Pb  0.000  0.000  0.000
Ho  0.500  0.500  0.500

Properties
crystal system: cubic
space group: F-43m

---

TbSi2Ni10: relaxed, r2SCAN.

Unit cell a=8.096 b=8.096 c=4.634 alpha=90.00 beta=90.00 gamma=90.00
Element x y z (fractional)
Ni  0.750  0.750  0.000
Ni  0.000  0.274  0.729
Si  0.750  0.750  0.500
Ni  0.250  0.750  0.000
Ni  0.147  0.000  0.762
Ni  0.000  0.147  0.238
Ni  0.226  0.500  0.729
Ni  0.274  0.000  0.271
Si  0.250  0.750  0.500
Ni  0.250  0.250  0.000
Ni  0.500  0.774  0.271
Tb  0.000  0.500  0.220
Ni  0.500  0.226  0.271
Ni  0.750  0.250  0.000
Si  0.250  0.250  0.500
Tb  0.500  0.000  0.780
Ni  0.000  0.853  0.238
Ni  0.726  0.000  0.271
Ni  0.647  0.500  0.238
Si  0.750  0.250  0.500
Ni  0.353  0.500  0.238
Ni  0.853  0.000  0.762
Ni  0.000  0.726  0.729
Ni  0.500  0.647  0.762
Ni  0.500  0.353  0.762
Ni  0.774  0.500  0.729

Properties
crystal system: tetragonal
space group: P4/nmm

---

Cs2CdI4: relaxed, r2SCAN.

Unit cell a=8.033 b=8.496 c=11.228 alpha=90.00 beta=112.08 gamma=90.00
Element x y z (fractional)
I  0.751  0.489  0.715
Cs  0.288  0.250  0.590
Cs  0.712  0.750  0.410
I  0.249  0.511  0.285
Cs  0.841  0.250  0.035
I  0.249  0.989  0.285
Cd  0.413  0.250  0.221
I  0.218  0.750  0.642
I  0.782  0.250  0.358
I  0.751  0.011  0.715
Cs  0.159  0.750  0.965
I  0.690  0.750  0.049
I  0.310  0.250  0.951
Cd  0.587  0.750  0.779

Properties
crystal system: monoclinic
space group: P2_1/m
E above lowest polymorph: 0.00 eV/f.u.

---

Rb3MnO3: relaxed, r2SCAN.

Unit cell a=6.898 b=7.046 c=11.858 alpha=90.00 beta=90.00 gamma=98.41
Element x y z (fractional)
Rb  0.659  0.856  0.488
O  0.728  0.700  0.884
O  0.272  0.300  0.116
O  0.700  0.727  0.124
O  0.300  0.273  0.876
Rb  0.469  0.996  0.209
O  0.700  0.227  0.376
Mn  0.158  0.156  0.996
Rb  0.341  0.144  0.512
Rb  0.008  0.574  0.226
O  0.901  0.591  0.572
Rb  0.659  0.356  0.012
O  0.099  0.409  0.428
Mn  0.842  0.344  0.496
O  0.099  0.909  0.072
Rb  0.531  0.004  0.791
O  0.728  0.200  0.616
*/

_To do_
The reader should reproduce the entries further up from the first line to the one with "0.220" verbatim.

_Outcome_
V32N3: relaxed, r2SCAN.

Unit cell a=2.966 b=8.631 c=17.273 alpha=90.80 beta=90.00 gamma=90.00
Element x y z (fractional)
V  0.500  0.387  0.064
V  0.500  0.871  0.806
V  0.000  0.391  0.196
V  0.000  0.378  0.690
V  0.500  0.880  0.314
N  0.500  0.493  0.748
N  0.000  0.000  0.000
V  0.500  0.111  0.943
V  0.000  0.116  0.317
V  0.500  0.889  0.057
V  0.000  0.110  0.812
V  0.500  0.351  0.330
V  0.000  0.884  0.683
V  0.500  0.129  0.194
V  0.500  0.373  0.561
V  0.000  0.372  0.942
V  0.000  0.890  0.188
V  0.500  0.337  0.826
V  0.000  0.872  0.435
V  0.000  0.622  0.310
V  0.000  0.160  0.079
V  0.500  0.649  0.670
V  0.000  0.371  0.445
V  0.500  0.116  0.442
V  0.500  0.613  0.936
V  0.000  0.629  0.555
V  0.500  0.663  0.174
V  0.500  0.627  0.439
V  0.000  0.609  0.804
N  0.500  0.507  0.252
V  0.500  0.120  0.686
V  0.000  0.840  0.921
V  0.000  0.628  0.058
V  0.500  0.884  0.558
V  0.000  0.128  0.565

Properties
crystal system: monoclinic
space group: P2/m

---

HoPbAu: relaxed, r2SCAN.

Unit cell a=4.783 b=4.783 c=4.783 alpha=60.00 beta=60.00 gamma=60.00
Element x y z (fractional)
Au  0.250  0.250  0.250
Pb  0.000  0.000  0.000
Ho  0.500  0.500  0.500

Properties
crystal system: cubic
space group: F-43m

---

TbSi2Ni10: relaxed, r2SCAN.

Unit cell a=8.096 b=8.096 c=4.634 alpha=90.00 beta=90.00 gamma=90.00
Element x y z (fractional)
Ni  0.750  0.750  0.000
Ni  0.000  0.274  0.729
Si  0.750  0.750  0.500
Ni  0.250  0.750  0.000
Ni  0.147  0.000  0.762
Ni  0.000  0.147  0.238
Ni  0.226  0.500  0.729
Ni  0.274  0.000  0.271
Si  0.250  0.750  0.500
Ni  0.250  0.250  0.000
Ni  0.500  0.774  0.271
Tb  0.000  0.500  0.220